In 1998, I got a new credit card in the mail and after thinking about how many photocopies I could make for $1500 or if that was enough to buy like one sixtyfourth of an acre in some deserted forest, enough to build some kind of treehouse-esque unabomber shack, I suddenly realized that I had the insane desire to buy a MiniDisc recorder. So I rushed over to The Good Guys, this old Best Buy-esuqe electronics store, and bought a Sony MZ-R50 and rushed home and recorded Joe Satriani’s Crystal Planet onto a blank disc.
(Reasons significant: 1) Joe Satriani recorded his first album after receiving a credit card in the mail; 2) He was signed to Sony, and I think a song of his was in a MiniDisc commercial, not that there were tons of those in the US; 3) I had recently broken up with a girlfriend, and the reason I broke up with her, or the catalyst at least, was driving two hours to Portland with Ryan in his Miata to see Joe Satriani, listening to CP the whole way there, and both of us bitching about our respective girlfriends and vowing to somehow escape the situations, only I did and he did not.)
I did not have a good way to record digital to digital for a long time, and the MiniDisc required you to record stuff in real-time – you didn’t just download a bunch of MP3s and dump them to the disc. You also had to carry around however many discs with you, and if you brought three and went to work, you were guaranteed to be sick of all of them by the time you got to the train station. I vividly remember going on an awful first date with a lowtalker who produced feminist programming for cable access and still lived with her mom and wanted to go to dinner at a soup restaurant and then go to see this movie about white supremacists, and then I really fucked things up because the movie interviewed all of these white supremacists in Bloomington, Indiana, and while they’re talking to these guys about the evils of Jews, they’re all drinking out of Pizza Express cups and I’m like HOLY SHIT THOSE ARE PIZZA EXPRESS CUPS I HAVE LIKE 90 OF THOSE IN MY APARTMENT. She was still somehow interested and kept calling and I eventually told her I was in love with someone who lived in LA, which was partially true anyway. So after this first date, I had to walk her to her car at the cable access thing, and it was like eleventy billion blocks from the train station. And the only MD I had with me was a best-of from Millions of Dead Cops, which is like 27 songs, a dozen of them being “John Wayne Was a Nazi” and the rest being entirely unintelligible 22-second long songs. And I think I listened to it nine times on the walk back to the train. And that’s why I got an iPod.
I have an 80GB iPod and it’s almost full, and it’s also lasted longer than any other, which means it will fail soon. It is my damn lifeline for morning traffic though. Is there something that will hold more music that I need to get? Maybe I need to get a bunch of iPods and put them on a bandolier like Chewbacca. If they made an iPhone that could fit 80 GB I would just do that. Maybe when the drive dies in this (inevitable) I will find a way to hack it into a socket that I can hot-swap a bunch of different drives. Maybe I will just wise up and say “why the fuck do I have all of these Charlie Parker albums and I only listen to two of the songs, so fuck it” and get the collection down so it will fit on my iPhone.
Next to the piece, the page also holds calculated molecules =
The following is a DFT calculation (the ωB97M-V functional and the def2-TZVPD basis) of 2 unconnected molecules or ions with the total composition C3H10NO2.

Values from the calculation:
HOMO energy (alpha / beta)	-9.65 / -14.37	eV
gap between HOMO and LUMO (alpha / beta)	0.1802 / 0.1662	hartree
strongest force on any atom	0.1016	Eh/bohr

Structure (ORCA input):
```
! wB97M-V def2-TZVPD RIJCOSX def2/J DEFGRID3
* xyz 1 3
C 1.1545 -0.6883 1.1194
C 1.1939 1.2122 -0.5315
C 0.2053 -0.9134 -1.0762
N 0.9416 -0.2014 -0.2554
O -2.2476 -0.4207 -0.2318
O -2.1614 0.7236 0.5812
H 0.3202 -0.4945 1.7219
H 1.3650 -1.7955 1.1326
H 2.0065 -0.2085 1.6346
H 0.8711 1.7237 0.3712
H 2.1955 1.6267 -0.6943
H 0.6192 1.6004 -1.2852
H -0.1841 -1.9989 -0.8451
H -0.2756 -0.4932 -2.0031
H -2.9167 1.3298 0.2593
H -3.0874 -1.0020 0.1024
*
```

----------

Molecular formula: C6H12N2OPTc
Method: DFT, wB97M-V/def2-TZVPD

Each line ends with the Mulliken charge.
Positions of all 23 atoms, in Å:
C (1.233, 0.033, -1.379)  -0.0657
C (0.118, 0.030, -2.404)  -0.9606
C (-0.546, -1.247, -2.305)  -0.0417
C (-0.109, -1.942, -1.169)  -0.1801
C (0.857, -1.081, -0.405)  -0.8234
Tc (-0.637, 0.322, -0.476)  0.7051
P (-0.220, 2.471, 0.159)  -0.1185
H (2.159, 0.680, -1.359)  0.4263
H (-0.395, 0.734, -3.085)  0.3632
H (-1.336, -1.537, -2.987)  0.3744
H (1.296, -1.439, 0.560)  0.5740
H (-0.584, -2.894, -0.890)  0.3325
H (-0.963, 3.270, 1.040)  0.1132
H (0.085, 3.474, -0.705)  0.1154
H (1.052, 2.372, 0.832)  0.0983
N (0.937, -0.498, 3.101)  -0.3341
C (-0.347, -0.365, 2.662)  0.6431
N (-1.343, -0.466, 3.580)  -0.4117
O (-0.658, -0.082, 1.431)  -0.7032
H (1.287, -0.526, 4.075)  0.2272
H (1.654, -0.417, 2.383)  0.2204
H (-2.278, -0.368, 3.190)  0.2407
H (-1.262, -0.520, 4.583)  0.2054

Results
* charge: +1
* multiplicity: 4
* Kohn-Sham gap (alpha / beta): 7.01 / 7.55 eV
* HOMO energy (alpha / beta): -9.723 / -11.517 eV
* energy above the lowest of the compared OMol25 structures with the same formula, charge and spin: 112.6 kJ/mol


Molecular formula: C23H36F18N8O13S6
Method: DFT, wB97M-V/def2-TZVPD

Each line ends with the Mulliken charge.
Positions of all 104 atoms, in Å:
C (14.583, 13.419, 8.658)  -1.4529
N (13.358, 12.923, 7.945)  0.9609
C (12.219, 12.839, 8.955)  -0.6979
C (12.986, 13.829, 6.801)  -1.0417
C (13.738, 11.588, 7.391)  -1.0848
C (14.071, 10.498, 8.376)  -0.0855
O (15.162, 10.886, 9.209)  0.6221
H (14.600, 14.468, 8.742)  0.5834
H (15.451, 13.166, 8.072)  0.5071
H (14.750, 12.925, 9.632)  -0.1100
H (11.856, 13.860, 9.047)  0.4753
H (12.588, 12.525, 9.960)  0.0728
H (11.469, 12.167, 8.553)  0.3020
H (12.690, 14.790, 7.206)  0.3341
H (12.161, 13.360, 6.312)  0.4241
H (13.765, 13.953, 6.087)  0.3528
H (14.484, 11.778, 6.617)  0.3316
H (12.833, 11.213, 6.856)  0.4117
H (14.316, 9.601, 7.719)  0.2096
H (13.214, 10.135, 9.012)  0.2999
H (15.681, 10.078, 9.328)  -0.3836
C (21.528, 11.586, 9.984)  -1.4089
C (19.990, 11.637, 10.007)  0.1464
N (19.453, 11.045, 11.224)  0.4536
I’ve still got all of this MiniDisc crap in my storage locker. I think if I had infinite time I would make some kind of art project out of it, like make a MiniDisc-based mellotron keyboard. Someone did a movie about the mellotron, a documentary, which I guess is a lot better than my last attempt at a documentary. I got blindingly drunk in Laguardia airport, then had to fly to Pittsburg via Cincinnati Ohio (which is really in Kentucky, the airport I mean) and so I got to OH/KY and had a few more beers and decided I was going to make a concept movie about the moving walkways in the airport and started filming The Walkway is about to end, which is basically me sitting on the floor by the end of the walkway, and every ten seconds, a robot voice says “the walkway is about to end!” and every single person that walks past ignores it and stumbles when the moving ground becomes non-moving ground, and the whole thing is an important metaphor for something, but then I started to sober up and had to catch a plane to Pittsburgh and that’s the end of the story. (The footage for that is in my storage locker, too.)